[1]
Starting from DFT lattice parameters and positions (PBE), the X-ray diffraction stick pattern of Rb2TmAgCl6 was computed for Cu Kα.
Intensities are scaled so that the largest is 100.

Top 12 peaks for 2θ = 10–90°, in order of falling intensity:
| two_theta | I (rel.) | index |
| --- | --- | --- |
| 23.53 | 100 | 2 2 0 |
| 33.51 | 63 | 4 0 0 |
| 41.35 | 46 | 4 2 2 |
| 48.12 | 43 | 4 4 0 |
| 16.58 | 27 | 2 0 0 |
| 65.28 | 24 | 6 4 2 |
| 54.24 | 21 | 6 2 0 |
| 80.28 | 18 | 8 4 0 |
| 89.85 | 14 | 8 4 4 |
| 59.91 | 14 | 4 4 4 |
| 37.61 | 13 | 4 2 0 |
| 75.41 | 12 | 6 6 0 |

Cell and atoms:
```
data_Rb2TmAgCl6
_cell_length_a 10.696
_cell_length_b 10.696
_cell_length_c 10.696
_cell_angle_alpha 90.00
_cell_angle_beta 90.00
_cell_angle_gamma 90.00
_symmetry_space_group_name_H-M 'F m -3 m'
_symmetry_Int_Tables_number 225
_symmetry_space_group_name_Hall '-F 4 2 3'
loop_
_atom_site_label
_atom_site_type_symbol
_atom_site_fract_x
_atom_site_fract_y
_atom_site_fract_z
Rb1 Rb 0.250 0.250 0.250
Tm1 Tm 0.000 0.000 0.000
Ag1 Ag 0.000 0.000 0.500
Cl1 Cl 0.000 0.000 0.243
```

---

[2]
Starting from DFT lattice parameters and positions (PBE), the X-ray diffraction stick pattern of ReAg2Cl6 was computed for Cu Kα.
Intensities are scaled so that the largest is 100.

Top 12 peaks for 2θ = 10–90°, in order of falling intensity:
| two_theta | I (rel.) | index |
| --- | --- | --- |
| 24.94 | 100 | 1 0 4 |
| 30.41 | 78 | 1 1 3 |
| 15.96 | 77 | 1 0 1 |
| 14.72 | 68 | 0 0 3 |
| 26.46 | 63 | 1 1 0 |
| 36.68 | 59 | 0 2 4 |
| 45.80 | 46 | 2 1 4 |
| 46.71 | 42 | 3 0 0 |
| 54.76 | 22 | 3 -1 7 |
| 38.14 | 22 | 1 0 7 |
| 47.02 | 19 | 0 2 7 |
| 51.17 | 18 | 2 0 8 |

Cell and atoms:
```
data_ReAg2Cl6
_cell_length_a 6.7364
_cell_length_b 6.7364
_cell_length_c 18.0594
_cell_angle_alpha 90.00
_cell_angle_beta 90.00
_cell_angle_gamma 120.00
_symmetry_space_group_name_H-M 'R -3'
_symmetry_Int_Tables_number 148
_symmetry_space_group_name_Hall '-R 3'
loop_
_atom_site_label
_atom_site_type_symbol
_atom_site_fract_x
_atom_site_fract_y
_atom_site_fract_z
Re1 Re 0.0000 0.0000 0.0000
Ag1 Ag 0.0000 0.0000 0.2657
Cl1 Cl 0.0315 0.6358 0.7433
```

---

[3]
Starting from DFT lattice parameters and positions (PBE), the X-ray diffraction stick pattern of TlAgCl3 was computed for Cu Kα.
Intensities are scaled so that the largest is 100.

Top 12 peaks for 2θ = 10–90°, in order of falling intensity:
| two_theta | I (rel.) | index |
| --- | --- | --- |
| 24.55 | 100 | 1 1 0 |
| 35.00 | 47 | 2 0 0 |
| 43.22 | 46 | 2 1 1 |
| 50.33 | 32 | 2 2 0 |
| 68.47 | 24 | 3 2 1 |
| 56.78 | 21 | 3 1 0 |
| 30.19 | 20 | 1 1 1 |
| 84.50 | 14 | 4 2 0 |
| 79.27 | 12 | 4 1 1 |
| 62.78 | 11 | 2 2 2 |
| 59.82 | 8 | 3 1 1 |
| 89.69 | 6 | 3 3 2 |

Cell and atoms:
```
data_TlAgCl3
_cell_length_a 5.126
_cell_length_b 5.126
_cell_length_c 5.130
_cell_angle_alpha 90.00
_cell_angle_beta 90.00
_cell_angle_gamma 90.00
_symmetry_space_group_name_H-M 'P 4 m m'
_symmetry_Int_Tables_number 99
loop_
_symmetry_equiv_pos_as_xyz
'x,y,z'
'-y,x,z'
'-x,-y,z'
'y,-x,z'
'-x,y,z'
'y,x,z'
'x,-y,z'
'-y,-x,z'
loop_
_atom_site_label
_atom_site_type_symbol
_atom_site_fract_x
_atom_site_fract_y
_atom_site_fract_z
Tl1 Tl 0.000 0.000 0.000
Ag1 Ag 0.500 0.500 0.486
Cl1 Cl 0.000 0.500 0.484
Cl2 Cl 0.500 0.500 0.986
```

---

[4]
Starting from DFT lattice parameters and positions (PBE), the X-ray diffraction stick pattern of TlAgCl3 was computed for Cu Kα.
Intensities are scaled so that the largest is 100.

Top 12 peaks for 2θ = 10–90°, in order of falling intensity:
| two_theta | I (rel.) | index |
| --- | --- | --- |
| 24.45 | 100 | 1 1 0 |
| 24.64 | 100 | 1 0 4 |
| 34.99 | 88 | 0 2 4 |
| 43.15 | 48 | 2 1 4 |
| 50.11 | 29 | 2 2 0 |
| 30.10 | 27 | 2 0 2 |
| 43.03 | 27 | 3 0 0 |
| 68.19 | 27 | 3 2 4 |
| 50.53 | 27 | 2 0 8 |
| 43.51 | 21 | 0 1 8 |
| 56.91 | 20 | 1 2 8 |
| 56.62 | 20 | 1 3 4 |

Cell and atoms:
```
data_TlAgCl3
_cell_length_a 7.2819
_cell_length_b 7.2819
_cell_length_c 17.6282
_cell_angle_alpha 90.00
_cell_angle_beta 90.00

It remains to repeat everything further above unchanged.

[1]
Starting from DFT lattice parameters and positions (PBE), the X-ray diffraction stick pattern of Rb2TmAgCl6 was computed for Cu Kα.
Intensities are scaled so that the largest is 100.

Top 12 peaks for 2θ = 10–90°, in order of falling intensity:
| two_theta | I (rel.) | index |
| --- | --- | --- |
| 23.53 | 100 | 2 2 0 |
| 33.51 | 63 | 4 0 0 |
| 41.35 | 46 | 4 2 2 |
| 48.12 | 43 | 4 4 0 |
| 16.58 | 27 | 2 0 0 |
| 65.28 | 24 | 6 4 2 |
| 54.24 | 21 | 6 2 0 |
| 80.28 | 18 | 8 4 0 |
| 89.85 | 14 | 8 4 4 |
| 59.91 | 14 | 4 4 4 |
| 37.61 | 13 | 4 2 0 |
| 75.41 | 12 | 6 6 0 |

Cell and atoms:
```
data_Rb2TmAgCl6
_cell_length_a 10.696
_cell_length_b 10.696
_cell_length_c 10.696
_cell_angle_alpha 90.00
_cell_angle_beta 90.00
_cell_angle_gamma 90.00
_symmetry_space_group_name_H-M 'F m -3 m'
_symmetry_Int_Tables_number 225
_symmetry_space_group_name_Hall '-F 4 2 3'
loop_
_atom_site_label
_atom_site_type_symbol
_atom_site_fract_x
_atom_site_fract_y
_atom_site_fract_z
Rb1 Rb 0.250 0.250 0.250
Tm1 Tm 0.000 0.000 0.000
Ag1 Ag 0.000 0.000 0.500
Cl1 Cl 0.000 0.000 0.243
```

---

[2]
Starting from DFT lattice parameters and positions (PBE), the X-ray diffraction stick pattern of ReAg2Cl6 was computed for Cu Kα.
Intensities are scaled so that the largest is 100.

Top 12 peaks for 2θ = 10–90°, in order of falling intensity:
| two_theta | I (rel.) | index |
| --- | --- | --- |
| 24.94 | 100 | 1 0 4 |
| 30.41 | 78 | 1 1 3 |
| 15.96 | 77 | 1 0 1 |
| 14.72 | 68 | 0 0 3 |
| 26.46 | 63 | 1 1 0 |
| 36.68 | 59 | 0 2 4 |
| 45.80 | 46 | 2 1 4 |
| 46.71 | 42 | 3 0 0 |
| 54.76 | 22 | 3 -1 7 |
| 38.14 | 22 | 1 0 7 |
| 47.02 | 19 | 0 2 7 |
| 51.17 | 18 | 2 0 8 |

Cell and atoms:
```
data_ReAg2Cl6
_cell_length_a 6.7364
_cell_length_b 6.7364
_cell_length_c 18.0594
_cell_angle_alpha 90.00
_cell_angle_beta 90.00
_cell_angle_gamma 120.00
_symmetry_space_group_name_H-M 'R -3'
_symmetry_Int_Tables_number 148
_symmetry_space_group_name_Hall '-R 3'
loop_
_atom_site_label
_atom_site_type_symbol
_atom_site_fract_x
_atom_site_fract_y
_atom_site_fract_z
Re1 Re 0.0000 0.0000 0.0000
Ag1 Ag 0.0000 0.0000 0.2657
Cl1 Cl 0.0315 0.6358 0.7433
```

---

[3]
Starting from DFT lattice parameters and positions (PBE), the X-ray diffraction stick pattern of TlAgCl3 was computed for Cu Kα.
Intensities are scaled so that the largest is 100.

Top 12 peaks for 2θ = 10–90°, in order of falling intensity:
| two_theta | I (rel.) | index |
| --- | --- | --- |
| 24.55 | 100 | 1 1 0 |
| 35.00 | 47 | 2 0 0 |
| 43.22 | 46 | 2 1 1 |
| 50.33 | 32 | 2 2 0 |
| 68.47 | 24 | 3 2 1 |
| 56.78 | 21 | 3 1 0 |
| 30.19 | 20 | 1 1 1 |
| 84.50 | 14 | 4 2 0 |
| 79.27 | 12 | 4 1 1 |
| 62.78 | 11 | 2 2 2 |
| 59.82 | 8 | 3 1 1 |
| 89.69 | 6 | 3 3 2 |

Cell and atoms:
```
data_TlAgCl3
_cell_length_a 5.126
_cell_length_b 5.126
_cell_length_c 5.130
_cell_angle_alpha 90.00
_cell_angle_beta 90.00
_cell_angle_gamma 90.00
_symmetry_space_group_name_H-M 'P 4 m m'
_symmetry_Int_Tables_number 99
loop_
_symmetry_equiv_pos_as_xyz
'x,y,z'
'-y,x,z'
'-x,-y,z'
'y,-x,z'
'-x,y,z'
'y,x,z'
'x,-y,z'
'-y,-x,z'
loop_
_atom_site_label
_atom_site_type_symbol
_atom_site_fract_x
_atom_site_fract_y
_atom_site_fract_z
Tl1 Tl 0.000 0.000 0.000
Ag1 Ag 0.500 0.500 0.486
Cl1 Cl 0.000 0.500 0.484
Cl2 Cl 0.500 0.500 0.986
```

---

[4]
Starting from DFT lattice parameters and positions (PBE), the X-ray diffraction stick pattern of TlAgCl3 was computed for Cu Kα.
Intensities are scaled so that the largest is 100.

Top 12 peaks for 2θ = 10–90°, in order of falling intensity:
| two_theta | I (rel.) | index |
| --- | --- | --- |
| 24.45 | 100 | 1 1 0 |
| 24.64 | 100 | 1 0 4 |
| 34.99 | 88 | 0 2 4 |
| 43.15 | 48 | 2 1 4 |
| 50.11 | 29 | 2 2 0 |
| 30.10 | 27 | 2 0 2 |
| 43.03 | 27 | 3 0 0 |
| 68.19 | 27 | 3 2 4 |
| 50.53 | 27 | 2 0 8 |
| 43.51 | 21 | 0 1 8 |
| 56.91 | 20 | 1 2 8 |
| 56.62 | 20 | 1 3 4 |

Cell and atoms:
```
data_TlAgCl3
_cell_length_a 7.2819
_cell_length_b 7.2819
_cell_length_c 17.6282
_cell_angle_alpha 90.00
_cell_angle_beta 90.00